### Brief
Reproduce the whole of the contents further below verbatim.
### Contents
Entry 1:
Diffraction record for Li7Fe3Si2O12. The powder X-ray diffraction pattern is theoretical, not measured: it uses a PBE+U-relaxed structure and a wavelength of 1.5418 Å.

Cell and atoms:
```
Li7Fe3Si2O12
1.0
2.496 -4.267 0.000
2.496 4.267 0.000
-1.504 0.000 9.700
Li Fe Si O
7 3 2 12
direct
0.000 0.000 0.000
0.083 0.403 0.243
0.248 0.248 0.757
0.403 0.083 0.243
0.597 0.917 0.757
0.752 0.752 0.243
0.917 0.597 0.757
0.164 0.836 0.500
0.500 0.500 0.500
0.836 0.164 0.500
0.333 0.667 0.000
0.667 0.333 0.000
0.032 0.657 0.103
0.108 0.108 0.373
0.216 0.540 0.616
0.343 0.968 0.897
0.407 0.407 0.103
0.460 0.784 0.384
0.540 0.216 0.616
0.593 0.593 0.897
0.657 0.032 0.103
0.784 0.460 0.384
0.892 0.892 0.627
0.968 0.343 0.897
```

Main lines, by angle (2θ = 10–80°):
d/Å, I/Imax
4.850, 100
2.466, 18
2.433, 20
2.074, 31
2.037, 59
1.584, 9
1.471, 16
1.458, 8
1.436, 16
1.423, 9


Entry 2:
Diffraction record for Na4Ta3VO12. The powder X-ray diffraction pattern is theoretical, not measured: it uses a PBE+U-relaxed structure and a wavelength of 1.5418 Å.

Cell and atoms:
```
Na4Ta3VO12
1.0
-3.935 3.935 3.935
3.935 -3.935 3.935
3.935 3.935 -3.935
Na Ta V O
4 3 1 12
direct
0.000 0.000 0.500
0.000 0.500 0.000
0.500 0.000 0.000
0.500 0.500 0.500
0.000 0.500 0.500
0.500 0.000 0.500
0.500 0.500 0.000
0.000 0.000 0.000
0.000 0.244 0.244
0.000 0.756 0.756
0.244 0.000 0.244
0.244 0.244 0.000
0.250 0.500 0.750
0.250 0.750 0.500
0.500 0.250 0.750
0.500 0.750 0.250
0.750 0.250 0.500
0.750 0.500 0.250
0.756 0.000 0.756
0.756 0.756 0.000
```

Main lines, by angle (2θ = 10–80°):
d/Å, I/Imax
5.565, 21
3.935, 100
3.213, 12
2.782, 100
1.967, 36
1.760, 41
1.606, 40
1.391, 21
1.312, 19
1.244, 17

* * * * *

Entry 1:
Diffraction record for Pm2CdSi. The powder diffraction line list is computed, not measured: it uses a crystal structure in the Materials Project, relaxed with GGA-PBE and copper Kα.

The 10 most intense peaks (2θ from 5° to 70°), by intensity:
Position (°2θ)  intensity  (hkl)
34.2  100  2 2 0
61.2  36  4 2 2
49.1  18  4 0 0
24.0  14  2 0 0
20.7  9  1 1 1
55.4  6  4 2 0
40.3  5  3 1 1
42.2  4  2 2 2
53.9  2  3 3 1
65.4  1  5 1 1

Structure:
```
data_Pm2CdSi
_cell_length_a 7.4182
_cell_length_b 7.4182
_cell_length_c 7.4182
_cell_angle_alpha 90.00
_cell_angle_beta 90.00
_cell_angle_gamma 90.00
_space_group_name_H-M_alt 'F m -3 m'
_space_group_IT_number 225
_space_group_name_Hall '-F 4 2 3'
loop_
_atom_site_label
_atom_site_fract_x
_atom_site_fract_y
_atom_site_fract_z
Pm1 0.2500 0.2500 0.2500
Cd1 0.0000 0.0000 0.0000
Si1 0.0000 0.0000 0.5000
```


Entry 2:
Diffraction record for PrCd2. The powder diffraction line list is computed, not measured: it uses a crystal structure in the Materials Project, relaxed with GGA-PBE and copper Kα.

The 10 most intense peaks (2θ from 5° to 70°), by intensity:
Position (°2θ)  intensity  (hkl)
32.6  100  1 0 1
35.1  86  1 1 0
48.6  32  2 0 1
61.3  31  2 1 1
64.5  28  1 1 2
62.9  15  3 0 0
52.2  9  0 0 2
43.8  5  1 1 1
25.4  4  0 0 1
20.0  2  1 0 0

Structure:
```
data_PrCd2
_cell_length_a 5.1203
_cell_length_b 5.1203
_cell_length_c 3.5033
_cell_angle_alpha 90.00
_cell_angle_beta 90.00
_cell_angle_gamma 120.00
_space_group_name_H-M_alt 'P 6/m m m'
_space_group_IT_number 191
_space_group_name_Hall '-P 6 2'
loop_
_atom_site_label
_atom_site_fract_x
_atom_site_fract_y
_atom_site_fract_z
Pr1 0.0000 0.0000 0.0000
Cd1 0.3333 0.6667 0.5000
```


Entry 3:
Diffraction record for PrCd11. The powder diffraction line list is computed, not measured: it uses a crystal structure in the Materials Project, relaxed with GGA-PBE and copper Kα.

The 10 most intense peaks (2θ from 5° to 70°), by intensity:
Position (°2θ)  intensity  (hkl)
39.2  100  4 1 0
31.3  92  3 1 1
32.8  81  2 2 2
40.4  69  3 3 0
43.8  52  4 2 1
34.1  47  3 2 0
29.8  37  3 1 0
62.8  32  5 4 0
54.9  23  4 4 0
65.4  20  6 2 2

Structure:
```
data_PrCd11
_cell_length_a 9.4681
_cell_length_b 9.4681
_cell_length_c 9.4681
_cell_angle_alpha 90.00
_cell_angle_beta 90.00
### Reply
Entry 1:
Diffraction record for Li7Fe3Si2O12. The powder X-ray diffraction pattern is theoretical, not measured: it uses a PBE+U-relaxed structure and a wavelength of 1.5418 Å.

Cell and atoms:
```
Li7Fe3Si2O12
1.0
2.496 -4.267 0.000
2.496 4.267 0.000
-1.504 0.000 9.700
Li Fe Si O
7 3 2 12
direct
0.000 0.000 0.000
0.083 0.403 0.243
0.248 0.248 0.757
0.403 0.083 0.243
0.597 0.917 0.757
0.752 0.752 0.243
0.917 0.597 0.757
0.164 0.836 0.500
0.500 0.500 0.500
0.836 0.164 0.500
0.333 0.667 0.000
0.667 0.333 0.000
0.032 0.657 0.103
0.108 0.108 0.373
0.216 0.540 0.616
0.343 0.968 0.897
0.407 0.407 0.103
0.460 0.784 0.384
0.540 0.216 0.616
0.593 0.593 0.897
0.657 0.032 0.103
0.784 0.460 0.384
0.892 0.892 0.627
0.968 0.343 0.897
```

Main lines, by angle (2θ = 10–80°):
d/Å, I/Imax
4.850, 100
2.466, 18
2.433, 20
2.074, 31
2.037, 59
1.584, 9
1.471, 16
1.458, 8
1.436, 16
1.423, 9


Entry 2:
Diffraction record for Na4Ta3VO12. The powder X-ray diffraction pattern is theoretical, not measured: it uses a PBE+U-relaxed structure and a wavelength of 1.5418 Å.

Cell and atoms:
```
Na4Ta3VO12
1.0
-3.935 3.935 3.935
3.935 -3.935 3.935
3.935 3.935 -3.935
Na Ta V O
4 3 1 12
direct
0.000 0.000 0.500
0.000 0.500 0.000
0.500 0.000 0.000
0.500 0.500 0.500
0.000 0.500 0.500
0.500 0.000 0.500
0.500 0.500 0.000
0.000 0.000 0.000
0.000 0.244 0.244
0.000 0.756 0.756
0.244 0.000 0.244
0.244 0.244 0.000
0.250 0.500 0.750
0.250 0.750 0.500
0.500 0.250 0.750
0.500 0.750 0.250
0.750 0.250 0.500
0.750 0.500 0.250
0.756 0.000 0.756
0.756 0.756 0.000
```

Main lines, by angle (2θ = 10–80°):
d/Å, I/Imax
5.565, 21
3.935, 100
3.213, 12
2.782, 100
1.967, 36
1.760, 41
1.606, 40
1.391, 21
1.312, 19
1.244, 17

* * * * *

Entry 1:
Diffraction record for Pm2CdSi. The powder diffraction line list is computed, not measured: it uses a crystal structure in the Materials Project, relaxed with GGA-PBE and copper Kα.

The 10 most intense peaks (2θ from 5° to 70°), by intensity:
Position (°2θ)  intensity  (hkl)
34.2  100  2 2 0
61.2  36  4 2 2
49.1  18  4 0 0
24.0  14  2 0 0
20.7  9  1 1 1
55.4  6  4 2 0
40.3  5  3 1 1
42.2  4  2 2 2
53.9  2  3 3 1
65.4  1  5 1 1

Structure:
```
data_Pm2CdSi
_cell_length_a 7.4182
_cell_length_b 7.4182
_cell_length_c 7.4182
_cell_angle_alpha 90.00
_cell_angle_beta 90.00
_cell_angle_gamma 90.00
_space_group_name_H-M_alt 'F m -3 m'
_space_group_IT_number 225
_space_group_name_Hall '-F 4 2 3'
loop_
_atom_site_label
_atom_site_fract_x
_atom_site_fract_y
_atom_site_fract_z
Pm1 0.2500 0.2500 0.2500
Cd1 0.0000 0.0000 0.0000
Si1 0.0000 0.0000 0.5000
```


Entry 2:
Diffraction record for PrCd2. The powder diffraction line list is computed, not measured: it uses a crystal structure in the Materials Project, relaxed with GGA-PBE and copper Kα.

The 10 most intense peaks (2θ from 5° to 70°), by intensity:
Position (°2θ)  intensity  (hkl)
32.6  100  1 0 1
35.1  86  1 1 0
48.6  32  2 0 1
61.3  31  2 1 1
64.5  28  1 1 2
62.9  15  3 0 0
52.2  9  0 0 2
43.8  5  1 1 1
25.4  4  0 0 1
20.0  2  1 0 0

Structure:
```
data_PrCd2
_cell_length_a 5.1203
_cell_length_b 5.1203
_cell_length_c 3.5033
_cell_angle_alpha 90.00
_cell_angle_beta 90.00
_cell_angle_gamma 120.00
_space_group_name_H-M_alt 'P 6/m m m'
_space_group_IT_number 191
_space_group_name_Hall '-P 6 2'
loop_
_atom_site_label
_atom_site_fract_x
_atom_site_fract_y
_atom_site_fract_z
Pr1 0.0000 0.0000 0.0000
Cd1 0.3333 0.6667 0.5000
```


Entry 3:
Diffraction record for PrCd11. The powder diffraction line list is computed, not measured: it uses a crystal structure in the Materials Project, relaxed with GGA-PBE and copper Kα.

The 10 most intense peaks (2θ from 5° to 70°), by intensity:
Position (°2θ)  intensity  (hkl)
39.2  100  4 1 0
31.3  92  3 1 1
32.8  81  2 2 2
40.4  69  3 3 0
43.8  52  4 2 1
34.1  47  3 2 0
29.8  37  3 1 0
62.8  32  5 4 0
54.9  23  4 4 0
65.4  20  6 2 2

Structure:
```
data_PrCd11
_cell_length_a 9.4681
_cell_length_b 9.4681
_cell_length_c 9.4681
_cell_angle_alpha 90.00
_cell_angle_beta 90.00